We’re welcoming spring this year with open arms, books, and YKRA bags from the past! Meet Ákos Déri, creative director of Open Books publishing house and guitarist-singer of Berriloom and the Doom who shares his journey from Telep — the iconic downtown bar in Budapest — to the world of books. Read our interview to learn what a creative director does in a day, and which work tools for manuscripts are hiding in Ákos’s YKRA gear

Hi Ákos, please introduce yourself. What’s there to know about you?
My name is Ákos Déri, I work in book publishing. I usually put it like this because I’m not just an editor but also a creative director. I edit the book series Bázis Könyvek (Base Books - ed.). In general, I’m the editor and creative director of Open Books, I play music and do many other things.
Can you tell us more about your background in music?
Yes, I’m a member of the band Berriloom and the Doom. We’re just finishing up our first studio album.
What’s the story of your relationship with YKRA? It’s quite a fun one.
I think it was around 2012 when I started doing a little bit of everything for YKRA—it was back in the basement of Telep [ a bar in downtown Budapest, from where the brand hails (ed.) ]. I can’t recall my official position, but as is often the case in small teams, we all ended up doing all sorts of different tasks.
For example, I was responsible for procurement, and we also contacted international stores, cold-calling them. When they said yes, we were over the moon!
Downstairs, there was a sewing shop. An elderly lady from Érd would come in every Wednesday or Friday to sew the bags that we sent abroad—ensuring they were top-quality products. It was such a fun, cozy atmosphere.
With Ákos [ another Ákos, Ákos Komlovszky, friend and co-worker ], we used to visit sewing shops in the countryside, deliver fabrics, and buy accessories. There was even an ex-soldier in Újpest who cut the leather for the backpacks at the time — he’s still there.
How long did you work for YKRA?
Not sure. It was around one and a half years.
How did you switch from YKRA to the world of books?
This is a less exciting story. I was a university student back then, and I was also working for YKRA. One day, I was preparing for an exam and I had to read a book published by the publishing house Typotex, and so I followed them on Facebook. As soon as I followed them, they posted an ad looking for an assistant editor. I applied knowing painfully well I’d never done anything like that in my life. My boss hired me because he liked my music — I included it in my CV. He said, “Ákos, come work for us, you seem like a fun guy, and I don’t like quarreling with my employees all day.” We talked a lot about music — he was more on the passive side, listening, rather than making. He’s since jumped ship and moved to Dublin to work in IT. As for me, after working at Typotex I also worked for Libri Bookstore for a short while, before we founded Open Books.
What does a day in your life look like? What does a creative director do daily?
My day starts with walking my dog, Jucuska, on the hill. Then I make a coffee, sit down at my computer, start calling people and sending emails. This part sounds kind of boring. We do have an office, but I don’t go in often, because there is a lot of commotion — but of course, when I need to, I do. It’s pretty nice, but in my opinion, I find it’s less YKRA-compatible in terms of style. This is where we have meetings, and welcome the authors and designers. When I put it like this, it sounds like your ordinary office job — meetings and all — but underneath it, this profession really is about telling stories visually and in text, and that part is incredibly exciting and never ends.
An interesting aspect of my routine is that I might have a lightbulb moment while walking my dog at 10 pm about for example, what astrophysicist Ágnes Kiss-Tóth should write in the manuscript or what we should put on the cover of her book.
We go to book fairs four or five times a year. Some are the usuals of the international book fair circuit — London, Frankfurt, sometimes Torino and Bologna — but there’s also one in Taiwan, for example, where I haven’t been yet. These are invitation-based and we represent our publishing house. There are times when we get invited just like a scholarship, and then sometimes we just show up — mostly to the ones in Europe. So there’s that. These fairs are always great, we’re able to gain inspiration and insight into how things are on the international scene. But as I’ve been doing this for 10 years, I feel like I have seen what’s been done there, too. We try to keep ourselves up-to-date about the market and I’m happy to say that we’re succeeding.
I assume you also have band practice at some point in your day?
-- Misplaced calculated crystals --
# 1
## TaTc3Hg (GGA-PBE)

Data for TaTc3Hg after structural relaxation.

## Properties
volume: 22.2 A^3/atom
final energy: -6.000 eV per atom

abc: 4.805 4.805 4.805
angles: 90.00 90.00 90.00
Space group Pm-3m (No. 221)
Asymmetric unit:
Ta (0.000, 0.000, 0.000)
Tc (0.000, 0.500, 0.500)
Hg (0.500, 0.500, 0.500)

# 2
## TaZnTcHg2 (GGA-PBE)

Data for TaZnTcHg2 after structural relaxation.

## Properties
volume: 28.0 A^3/atom
final energy: -3.137 eV per atom

abc: 5.291 5.291 5.002
angles: 90.00 90.00 90.00
Space group P4/mmm (No. 123)
Asymmetric unit:
Ta (0.000, 0.000, 0.000)
Zn (0.000, 0.000, 0.500)
Tc (0.500, 0.500, 0.500)
Hg (0.000, 0.500, 0.000)

# 3
## TaHgTe (GGA-PBE)

Data for TaHgTe after structural relaxation.

## Properties
formation energy without anion corrections: 15 meV per atom
volume: 25.3 A^3/atom

abc: 17.595 3.646 4.927
angles: 90.00 106.20 90.00
Space group C2/m (No. 12)
Asymmetric unit:
Ta (0.237, 0.000, 0.237)
Hg (0.083, 0.500, 0.083)
Te (0.139, 0.000, 0.640)

# 4
## TaHgTe (GGA-PBE)

Data for TaHgTe after structural relaxation.

## Properties
formation energy without anion corrections: 125 meV per atom
volume: 24.3 A^3/atom

abc: 3.4423 3.4423 7.1052
angles: 90.00 90.00 120.00
Space group P3m1 (No. 156)
Asymmetric unit:
Ta (0.0000, 0.0000, 0.0000)
Hg (0.3333, 0.6667, 0.3089)
Te (0.3333, 0.6667, 0.7352)

# 5
## TaHgTe (GGA-PBE)

Data for TaHgTe after structural relaxation.

## Properties
formation energy without anion corrections: 138 meV per atom
volume: 26.6 A^3/atom

abc: 14.367 3.409 7.427
angles: 90.00 118.82 90.00
Space group Cm (No. 8)
Asymmetric unit:
Ta (0.000, 0.000, 0.000)
Ta (0.110, 0.500, 0.869)
Hg (0.040, 0.000, 0.472)
Hg (0.308, 0.000, 0.000)
Te (0.166, 0.500, 0.270)
Te (0.390, 0.000, 0.662)

# 6
## TaHgTe (GGA-PBE)

Data for TaHgTe after structural relaxation.

## Properties
formation energy without anion corrections: 149 meV per atom
volume: 24.4 A^3/atom

abc: 3.4424 3.4424 21.4073
angles: 90.00 90.00 120.00
Space group R3m (No. 160, hexagonal axes)
Asymmetric unit:
Ta (0.0000, 0.0000, 0.0000)
Hg (0.0000, 0.0000, 0.4362)
Te (0.0000, 0.0000, 0.5786)

# 7
## TaHgTe (GGA-PBE)

Data for TaHgTe after structural relaxation.

## Properties
formation energy without anion corrections: 368 meV per atom
volume: 24.9 A^3/atom

abc: 3.788 5.151 15.299
angles: 90.00 90.00 90.00
Space group Fmm2 (No. 42)
Asymmetric unit:
Ta (0.000, 0.000, 0.000)
Hg (0.000, 0.000, 0.643)
Te (0.000, 0.000, 0.368)

# 8
## TaHgTe (GGA-PBE)

Data for TaHgTe after structural relaxation.

## Properties
formation energy without anion corrections: 48 meV per atom
volume: 27.3 A^3/atom

abc: 9.613 3.480 9.813
angles: 90.00 92.93 90.00
Space group Cm (No. 8)
Asymmetric unit:
Ta (0.000, 0.000, 0.000)
Ta (0.167, 0.500, 0.150)
Hg (0.175, 0.500, 0.458)
Hg (0.459, 0.500, 0.636)
Te (0.196, 0.500, 0.874)
Te (0.391, 0.000, 0.211)

# 9
## Ta2HgTe4 (GGA-PBE)

Data for Ta2HgTe4 after structural relaxation.

## Properties
Yes, after work I drag myself to our rehearsal space on Galvani Street, where we channel our remaining energy, there’s usually not much left! These sessions are like a second shift that often last until around 9–10 pm. My weekends, thankfully, are centered around rest, and I really need it. Sometimes I say yes to other things, which really, I shouldn’t. To have a public conversation with someone, for example. Tomorrow, I’m talking to a friend of mine about his collection of poems being published. Some days, I feel like I’m overextending myself.
YKRA MATRA MINI - This fabric is a piece of the past. This bag is from our experimental era. I think our trail of thought was that we found this fabric in a store and thought it had a cool pattern, and it’s fairly thick, so let’s see what we can do with it. And so the adorable sewing lady whose name I still can’t remember created a sample, and we realised “OK, that’s definitely not it”. It wasn’t what we envisioned, but it was too cool to let it wither away in a cardboard box. This was around 2012 when Balázs — and YKRA — started experimenting with more exciting patterns to do away with having only basic colours and instead explore collaborations.
Wallet - This is a classic wallet, a Bellroy one. I had another one that I liked a lot, but I’ve outgrown it because of all the cards I keep on me. I try to get rid of the unnecessary junk and avoid it becoming the stereotypical male wallet with 32 random handwritten notes and whatnot.
Notebook - My notebook is very important to me. This is a 2-in-1 calendar and notebook organised around months. There’s more free space to write down thoughts, so the calendar part is just for looking at the dates when I need to. Writing things down is essential when you are juggling many projects at the same time. Weekly calendars don’t work for me because I feel like I lose my notes as the weeks pass. Here, I have everything in one place. I can look at them organised according to the week, and when I look at them, I feel very content.
Book - This book is by British psychoanalytic psychotherapist and essayist Adam Phillips. I think he is one of the best essayists of our time. It’s titled On Giving Up and it’s precisely about that — the moment when you cross that line to give something up, which can be anything from your life, your work, your art. You might think it’s a philosophical piece, but it’s rather straightforward. As an author, Adam Philips usually chooses topics that interest everyone, such as Attention Seeking, a book about how we, people with a Western background, all crave attention and how nowadays we mix this up with a pathological need for attention. Another one of his works, On Getting Better, tackles how humans, since the beginning of time, try to feel better, and what are some of the ways we can do so. These essential questions are dealt with in shorter form. I’m looking forward to publishing this author so that his words are available in Hungarian. He hasn’t been put on the international map just yet, however, he is well-respected in the UK. He really is an extraordinary man.
Earbuds - I’ve had these for a while now. They’re quite sturdy, and I haven’t lost them yet. I listen to a lot of different things, right now, since we’re working on our album, I mostly listen to the band’s mixes — it’s important to hear the songs through ordinary headphones like these.
Glasses - I bought my glasses around two years ago. I mostly use them for reading and working on my computer. I don’t have a strong prescription, but I do use them daily.
Business Card - I always have some business cards on me. The phone number is incorrect, I still don’t have any idea who it belongs to. I thought it was a colleague’s, but the number doesn’t exist. This batch has almost run out so I can finally replace my card and fix this mistake.
Keys - This NUEN key chain was made by Norbi Nguyen ages ago and it’s still in great shape. The carabiner broke once, but it’s truly indestructible, you can just put it back together. He made one for himself and I thought “Oh, that’s really nice and practical” so he made one for me as well. We went to the same high school, by the way.
Water Bottle - My water bottle is so important to me, I bring it with me everywhere. In the morning I drink coffee from it, then water. I drink a lot of water.
reMarkable - reMarkable is a work tool for me, I read manuscripts on it. I’ve had it for 4 years, and I first bought it because I hated the small Kindles that made a manuscript into thousands of pages. This one is much bigger, and also has many great functions. Since then, everyone at Open Books who works with texts got one. When they first saw it, they didn’t understand what kind of space technology is this device!? When I talked to András Kepes [a prominent Hungarian writer ] yesterday, he also examined it and realised he wanted one too. Although, I have to add, he changed his mind and decided he’d stick to his iPad.
Macbook - My Macbook is the item that I use the most.
photo by Botond Wertán